== Material ==
-- begin --
Entry 1:
A relaxed VAgIr3 crystal. Source: Alexandria via LeMat-Bulk, functional PBE-GGA.

Results
**DFT formation energy**: 2366.8 meV/atom
**ΔE to the lowest computed polymorph**: 1218 meV/atom

a b c (Å): 4.760 4.760 4.760
angles (deg): 90.00 90.00 90.00
Space group Pm-3m (No. 221)
One atom of each set of equivalent atoms:
V1 0.000 0.000 0.000 x1
Ag1 0.500 0.500 0.500 x1
Ir1 0.000 0.500 0.500 x3

***

Entry 2:
A relaxed VAgIr crystal. Source: Alexandria via LeMat-Bulk, functional PBE-GGA.

Results
**DFT formation energy**: 143.3 meV/atom

a b c (Å): 5.201 7.353 10.133
angles (deg): 90.00 90.00 90.00
Space group Fmmm (No. 69)
One atom of each set of equivalent atoms:
V1 0.250 0.250 0.250 x8
Ag1 0.000 0.173 0.000 x8
Ir1 0.000 0.000 0.368 x8

***

Entry 3:
A relaxed VAgIr2 crystal. Source: Alexandria via LeMat-Bulk, functional PBE-GGA.

Results
**DFT formation energy**: 283.6 meV/atom
**ΔE to the lowest computed polymorph**: 165 meV/atom

a b c (Å): 7.033 7.033 5.356
angles (deg): 90.00 90.00 90.00
Space group I-42d (No. 122)
One atom of each set of equivalent atoms:
V1 0.000 0.000 0.000 x4
Ag1 0.000 0.000 0.500 x4
Ir1 0.203 0.750 0.125 x8

***

Entry 4:
A relaxed V2AgIr2 crystal. Source: Alexandria via LeMat-Bulk, functional PBE-GGA.

Results
**DFT formation energy**: -241.9 meV/atom
**ΔE to the lowest computed polymorph**: 0 meV/atom

a b c (Å): 7.442 7.442 2.760
angles (deg): 90.00 90.00 90.00
Space group P4/mbm (No. 127)
One atom of each set of equivalent atoms:
V1 0.159 0.341 0.000 x4
Ag1 0.000 0.000 0.500 x2
Ir1 0.135 0.635 0.500 x4

***

Entry 5:
A relaxed VAg2Ir crystal. Source: Alexandria via LeMat-Bulk, functional PBE-GGA.

Results
**DFT formation energy**: 799.9 meV/atom
**ΔE to the lowest computed polymorph**: 276 meV/atom

a b c (Å): 7.439 7.439 5.167
angles (deg): 90.00 90.00 90.00
Space group I-42d (No. 122)
One atom of each set of equivalent atoms:
V1 0.000 0.000 0.000 x4
Ag1 0.249 0.750 0.625 x8
Ir1 0.000 0.000 0.500 x4

***

Entry 6:
A relaxed VAgIr2 crystal. Source: Alexandria via LeMat-Bulk, functional PBE-GGA.

Results
**DFT formation energy**: 118.4 meV/atom
**ΔE to the lowest computed polymorph**: 0 meV/atom

a b c (Å): 6.209 6.209 6.209
angles (deg): 90.00 90.00 90.00
Space group Fm-3m (No. 225)
One atom of each set of equivalent atoms:
V1 0.000 0.000 0.000 x4
Ag1 0.000 0.000 0.500 x4
Ir1 0.250 0.250 0.250 x8

***

| no. | calculated total energy (eV for the cell shown) |
| --- | --- |
| 1 | -26.72 |
| 2 | -163.21 |
| 3 | -114.23 |
| 4 | -80.04 |
| 5 | -81.93 |
| 6 | -116.87 |
-- stop --

== Activity ==
Next, say how many lines of the calculation results further above hold the word "One", as a bare number.

== Reply ==
6